We are not a political party, nor do we claim to be.

Each principle has more specific concretisations. They allow for a higher level of specificity through clarifications and/or examples.

  • #1 - Basic human rights do not emanate from the state; the state only recognises them.
    1. Basic rights derive from the very nature of man.
    2. Society and the state progressively discover rights.
  • #2 - A society in which not everyone thinks alike is desirable
    1. Diversity of ideas is something to be promoted, not tolerated.
    2. Diversity includes not agreeing with the other, without forbidding it.
  • #3 - As we think in different ways, we have to agree on the rules of coexistence.
    1. The first rule of coexistence is the National Constitution. It is non-negotiable.
    2. All other rules are valid if they respect the national constitution.
  • #4 - Abiding by the rules we agree on is rewarded; breaking them is punished.
    1. He who always respects the law deserves praise.
    2. Whoever does not respect it (regardless of ideological affinity), deserves to be repudiated.
  • #5 - Effort deserves a reward
    1. We should all have the right to make that effort, we did not choose where we were born, nor the conditions of our education. 
    2. To (be able to exercise the right to make that effort and) aspire to the social mobility we all deserve, it is It is essential to have an effective state that fulfils, and very well, two functions that are indispensable to it: health and quality education.
    3. So, yes: the best student deserves the flag and the hardest worker deserves to get rich (if that is what he or she wants). 
[Misplaced crystal structures]
____________
DFT (PBE-GGA) results for a relaxed structure of NaSrZnB2.

abc: 4.3012 4.8032 4.3012
angles: 90.00 90.00 90.00
Fractional positions:
Sr: 0.5000 0.5000 0.5000
Zn: 0.0000 0.0000 0.0000
B: 0.0000 0.0000 0.5000
B: 0.5000 0.0000 0.0000
Na: 0.0000 0.5000 0.0000

## Properties
Calculated formation energy in eV per atom: 0.941
Density in g cm⁻³: 3.7
Symmetry: P4/mmm
Electronic total energy in eV per cell: -12.926
DOS(E_F) in states/eV/cell: 3.20
V in Å³/cell: 89


# 1
{"formula": "CsScTc2Se", "functional": "PBE-GGA", "state": "relaxed", "lattice_angstrom": [[4.916, 0.000, 0.000], [0.000, 4.916, 0.000], [0.000, 0.000, 6.113]], "species": ["Cs", "Sc", "Tc", "Tc", "Se"], "frac_coords": [[0.000, 0.000, 0.000], [0.000, 0.000, 0.500], [0.000, 0.500, 0.500], [0.500, 0.000, 0.500], [0.500, 0.500, 0.000]], "e_form_raw_ev_per_atom": 1.530, "dft_energy_ev_per_atom": -4.750, "magnetic_moment_mub_per_fu": 4.8, "crystal_system": "tetragonal"}

=====

# 2
{"formula": "Be2CrBPd", "functional": "PBE-GGA", "state": "relaxed", "lattice_angstrom": [[3.986, 0.000, 0.000], [0.000, 3.986, 0.000], [0.000, 0.000, 4.732]], "species": ["Be", "Be", "Cr", "B", "Pd"], "frac_coords": [[0.000, 0.500, 0.000], [0.500, 0.000, 0.000], [0.000, 0.000, 0.500], [0.500, 0.500, 0.500], [0.000, 0.000, 0.000]], "dft_energy_ev_per_atom": -4.191, "magnetic_moment_mub_per_fu": 0.0, "crystal_system": "tetragonal"}


K2C | GGA-PBEsol | relaxed
____________
  • #6 - The end does not justify the means
    1. Nothing (even if it seems good) can be done against the law.
    2. The law was made to protect the rights of all, including the bad guys.
  • #7 - Freedom to think and say what you want is non-negotiable
    1. You can say anything. If by saying so, someone commits a crime of slander, libel or defamation, it must be reported.
    2. Freedom of the press serves to protect citizens from the arbitrariness of those in power.
  • #8 - Higher levels should not do what lower levels can do
    1. What can be done well by the private sector should not be done by the state.
    2. The state must take care (and very well) of its own affairs.
  • #9 - Wealth is not available: it must be created. And you have to create the conditions for it
    1. We need to generate laws that attract and retain investors.
    2. The laws that attracted investors should not be changed.
  • #10 - Don't spend more than you earn
    1. If the state spends more, it generates inflation. Inflation is paid for by the poorest.